_Input_
........
A single C4H13N3 molecule in a non-equilibrium geometry, computed with the ωB97M-V functional and the def2-TZVPD basis.

Results
SMILES: CNCCNCN
Energy, a.u.: -324.43627
Kohn-Sham gap, eV: 9.7
LUMO, eV: 1.11
HOMO level, eV: -8.614

```
20
Properties=species:S:1:pos:R:3:forces:R:3
N -1.455 -1.960 1.083 -0.4 -0.1 -0.2
N -0.917 -0.668 -0.877 0.3 0.8 -0.1
N 1.519 0.892 -0.684 -0.3 0.5 -0.4
C -0.898 0.755 -0.426 0.4 -1.3 -0.4
C 0.419 1.112 0.208 -0.1 0.3 0.7
C -1.883 -1.496 -0.251 -0.4 -0.2 0.2
C 2.798 1.097 -0.070 0.0 -0.1 0.5
H 2.908 2.139 0.215 0.0 0.4 -0.2
H -1.029 1.359 -1.318 -0.3 0.4 0.1
H -2.070 -2.341 -0.908 0.0 -0.4 0.2
H -2.072 -2.715 1.373 0.1 0.0 0.1
H -1.701 0.888 0.298 -0.1 0.3 -0.1
H -1.631 -1.200 1.733 0.2 -0.1 0.1
H -2.825 -0.950 -0.188 -0.1 0.2 -0.2
H 1.404 0.054 -1.233 0.4 0.0 0.2
H 2.928 0.556 0.885 0.1 -0.3 -0.2
H 3.587 0.860 -0.764 0.3 -0.2 -0.1
H 0.545 0.566 1.159 0.0 -0.2 0.0
H -0.013 -1.113 -0.751 -0.1 0.1 0.0
H 0.384 2.166 0.516 0.1 0.0 -0.2
```
Forces are in eV/Å.

The Löwdin scheme yields these atomic charges, measured in e:
1. N 0.009
2. N -0.077
3. N -0.133
4. C -0.202
5. C -0.280
6. C -0.354
7. C -0.145
8. H 0.073
9. H 0.107
10. H 0.106
11. H 0.058
12. H 0.109
13. H 0.054
14. H 0.106
15. H 0.094
16. H 0.079
17. H 0.074
18. H 0.112
19. H 0.090
20. H 0.120

~~~~~

1.
ORCA calculation (ωB97M-V/def2-TZVPD) on a molecular structure, C24H44O3P2STc at a distorted geometry.

Output
F_max in eV/A: 4.56
Total charge: +2
2S+1: 4
Orbital gap (alpha / beta) in eV: 2.6 / 3.2

Last column: Mulliken charge in e.
Cartesian coordinates (Å):
Tc1 -0.211 1.151 -1.544  0.084
C1 0.572 0.754 1.456  1.150
C2 1.611 0.724 0.499  1.210
C3 0.123 2.470 -0.060  2.125
C4 -0.338 1.775 1.140  0.351
C5 1.395 1.792 -0.447  -1.013
C6 0.501 -0.086 2.680  -1.906
H1 0.944 -1.077 2.538  0.348
H2 -0.540 -0.246 2.980  0.448
H3 1.010 0.360 3.551  0.355
C7 -1.444 2.247 1.996  -1.582
H4 -1.539 1.671 2.924  0.407
H5 -2.401 2.155 1.476  0.108
H6 -1.328 3.304 2.270  0.326
C8 -0.172 3.888 -0.377  -2.036
H7 0.387 4.542 0.303  0.349
H8 -1.238 4.107 -0.262  0.398
H9 0.130 4.095 -1.401  0.425
C9 2.311 2.277 -1.482  -1.036
H10 2.559 3.325 -1.314  0.348
H11 1.844 2.204 -2.479  0.191
H12 3.244 1.708 -1.459  0.418
C10 2.855 -0.060 0.595  -1.724
H13 3.599 0.436 1.239  0.416
H14 3.325 -0.205 -0.382  0.398
H15 2.670 -1.040 1.046  0.280
C11 -1.079 -3.504 0.078  -0.726
C12 0.150 -3.371 0.562  -0.223
C13 1.344 -4.221 0.198  -0.919
C14 2.433 -3.540 -0.666  -1.651
C15 2.082 -2.981 -1.944  -0.027
C16 0.800 -2.652 -2.622  0.979
C17 -0.748 -3.142 -2.513  -0.895
C18 -1.379 -3.911 -1.329  -0.589
H16 1.077 -5.216 -0.198  0.411
H17 3.280 -4.233 -0.831  0.361
H18 1.854 -4.351 1.167  0.585
H19 -1.167 -4.988 -1.416  0.063
H20 -1.976 -3.275 0.684  0.425
H21 0.305 -2.752 1.460  0.241
H22 -2.475 -3.816 -1.490  0.519
H23 -1.321 -2.202 -2.608  0.510
H24 0.674 -1.533 -2.553  -0.754
H25 -1.034 -3.702 -3.426  0.431
H26 2.893 -2.751 -0.051  0.410
H27 2.843 -2.198 -2.208  1.078
P1 0.995 -5.248 -2.820  0.813
C19 -0.201 -6.625 -3.061  -1.481
C20 2.605 -6.115 -2.601  -1.565
P2 1.459 -2.737 -4.432  0.946
C21 1.149 -4.576 -4.529  -1.457
C22 3.292 -2.797 -4.462  -1.392
C23 1.084 -2.187 -6.116  -1.105
H28 -1.120 -6.263 -3.551  0.414
H29 -0.431 -7.023 -2.062  0.429
H30 0.282 -7.404 -3.668  0.502
H31 2.632 -6.973 -3.286  0.522
H32 2.619 -6.478 -1.562  0.386
H33 3.458 -5.438 -2.781  0.385
H34 1.119 -3.029 -6.827  0.416
H35 1.816 -1.427 -6.428  0.479
H36 0.082 -1.755 -6.106  0.403
H37 0.223 -4.776 -5.104  0.526
H38 1.996 -5.083 -5.029  0.672
H39 3.628 -1.879 -4.958  0.553
H40 3.659 -3.683 -5.004  0.437
H41 3.738 -2.820 -3.467  0.424
C24 -3.912 1.260 -0.607  -0.947
S1 -2.839 0.434 -1.801  1.384
O1 -3.611 -0.405 -2.669  -0.573
O2 -2.047 1.539 -2.467  -0.795
O3 -1.737 -0.301 -1.032  -0.477
H42 -4.823 1.445 -1.209  0.445
H43 -3.509 2.201 -0.222  0.261
H44 -4.139 0.576 0.221  0.331

***

2.
ORCA calculation (ωB97M-V/def2-TZVPD) on a molecular structure, C24H45ClP2V at a distorted geometry.

Output
........

_Request_
Please count the lines above that contain the word "at" and give the number alone.

_Written answer_
2